Green Feast
- stats:
16 chefs + 200 guests
8 appetizers + 4 courses
Oh, and 100°
Don’t worry, we’ll be by the beach, I say to myself. Well you were wrong, self, it’s HOT today in San Juan Capistrano. We roll up to The Ecology Center and out jumps the crew, ready for action. If you don’t get a tickle in your gut you’re not paying attention. Every shoot has it’s unknowns and Green Feast is no different. 8 chefs making appetizers for the Eco App Off + 10 chefs for the 4-course dinner. No small feat.
Greeted by a little blue house and the smell of green, the location is unassuming. A heavy wood sign painted with neon green leads the way to the arena as more signs mark the territory. The sweat droplets start to fall as I move into the bio-dome. Excuse me, “geodesic dome.” I could use one of these.
Empty and quiet, colorful and odd, The Ecology Center is beginning to grow on me. But just like the heat, there is NO escaping the table for this feast. Knives and forks stand at attention, clear glasses wait to be cooled. Fragrant herbs from the garden and meat on the grill find your nose while your ears pick up chopping in the distance and the buzz of guests arriving. Enough wandering, let’s get to work. Remember to enjoy the ride.

Can we get your name?
I’m Evan Marks, Executive Director of The Ecology Center. We’re an eco-education center in San Juan Capistrano that believes that people can make a difference, each and every day.
You’ve done this before.
[Everybody laughs]
So what’s the big deal about where our food comes from?
Well, food allows us to make a positive choice every single day. With Green Feast, for example, every ingredient is sourced within 250 miles, and that’s a big deal. Most of our everyday food comes from 1,000 to 2,000 miles away. Think about what those systems look like; big industrial systems, transportation, moving commodity food all over the world to your plate. Does that sound very appetizing?
Not very.
Doesn’t sound very good to me, either. Local food is the opposite of that. It’s building relationships with local farmers, it’s connecting with the people that are preparing it like all these incredible chefs. It’s tasting the most exquisite, seasonal food. Seasonal is the secret.
This is tomato season and we eat as many tomatoes as we’re able to, then we can them and move on. And then it’s squash season, winter squash, and root season and we get into dark leafy greens. That’s the wonder of food, that it moves, right? If your menu doesn’t change every day, it should at least change every month.
I try to tell them four times a year, at least so we can shoot new dishes.
Four times a year is great, but there’s always transition, so why not celebrate what’s really seasonal and fresh. Tomatoes are abundant right now but in two, three weeks they’ll start fading off.
[To Chad, shooting video] How’s he look? He’s sweating a little.
[Laughing] I know, it’s hot right!?

Greg Daniels
Haven Collective, Orange
What’s the story of your dish?
We get rabbits from this great farmer named Cheryl at Hidden Haven Farms down in San Diego county. She brings us beautiful rabbits and we made a rillette out of the rabbit meat this time. Serving it on a spent grain crisp from our own brewery in Pasadena. We took the spent grain and dehydrated it, then sent it to my baker at OC Baking and had him make a lavash out of it. We’re serving it with a little bit of Drake’s Farm fromage blanc and also a local fig jam that we made.

Paul Buchanan
Primal Alchemy, Long Beach
What’s the story of your dish?
[Assembling his appetizers] Well I’ve done charcuterie for the last 3 or 4 years and built a network of local products like local pigs and I try to partner with local growers. Some of them don’t even know how to raise the pigs you’re asking them to make. You say you want the pigs to have a certain amount of fat and they say “what do I feed them to get like that?” So it takes a history lesson. What do the Italians do? Why are Ibérico hams so good? Why are they so expensive and revered? It’s because of how they’re raised and fed and how they get exercise. They get to walk between trees to get more acorns and root their food, then they come back to their pen at night.
So armed with that information the local people raising pigs like Cook Pigs Ranch create a dehesa, a swath of land where the pigs can roam, get nuts, exercise. The quality is just amazing, the fat is amazing. You’re not raising a pig in 6 months like most commercial pigs. They’re not ever in confinements. They eat pistachios and macadamia nuts and tortillas, actually [Laughing]. Or masa. Being well fed and taken care of, it doesn’t take anything but a piece of pork, salt, and time to make a wonderful piece of charcuterie.
We’re kind of bringing back a tradition that’s been lost for a long time. [Pointing to his meat] This coppa is made from the shoulder and spala ham is from the front leg so it’s not as fatty, it’s more like a traditional ham. We’re doing one with pickled radish from Long Beach. We pickle all of our own stuff and cure our own meats. Our bread is from OC Baking Company and our friend Dean Kim, who does a great job. And these are all tomatoes from my garden; last of the season. I’ve been doing Green Feast ever since it started, 5 years I think. It’s grown to a wonderful event. Think I still have the same hat [laughing].
Looks like it.
Except I got the “no GMO” sticker on there now. I like that.
Right on.

Noah Blom
Arc Restaurant, Costa Mesa
What’s the story of your dish?
Pretty much everything we do emulates all sorts of animals. In this style we roasted our potatoes in duck fat, we confit the duck breasts, roast the pork overnight in a bunch of coals, mix in a little quail egg and duck egg into it and finish with a little caviar cream. Air, land, and sea is the understanding behind it. You can have one bite and taste every part of our world. Things that come up in the ground like a potato, to… sorry [He waves his hand above the table]. Can’t have a fly near the food [Laughing]. Um, things that grow on top of it like chervil, things in the water like the fish eggs, and things that fly, like the duck.
And we’re staying in the 250 mile radius?
Yeah our pigs our local, our ducks for sure, cream… ah, the only thing that didn’t make it is the caviar. That we had to source from a little bit farther but that’s better for everybody [He smiles]. A lot of love goes into those sturgeon farther away and trying to find a sturgeon off the Pacific coast 250 miles away… I don’t think we want those sturgeon [All laughing].

Scott Brandon
Fireside Tavern, Costa Mesa
What’s the story of your dish?
We have local Kumiai oysters from Baja California. I was inspired by the barbecued oysters from a little shack in Olema, California, north of San Francisco on the Tomales Bay called Tony’s. They do nothing but barbecued oysters and fried fish platters. This place is ridiculous. They serve amazing, local fresh oysters on a paper plate.
So I decided to make my own barbecue sauce using local heirloom tomatoes, onions, garlic, figs, grapefruit. Cooked it all down, low and slow. I got some beautiful cream from a local dairy and beat the shit out of it and turned it into butter. Roasted some garlic and mixed it in. We also made a bacon marmalade with Cooks Pigs bacon pork bellies that I cured for about a week and a half and smoked over cherry wood. Cooked that all down with some wonderful local onions and organic ruby red grapefruit, combined it all together, we threw it on the grill and slapped it together. That’s a barbecued oyster.

Debra Sims
Maro Wood Grill, Laguna Beach
What’s the story of your dish?
We did some lettuce and tomato jam, house-made from organic tomatoes. [A couple leaves her table, one of them saying loudly, “Best in the house. Thank you.”] Thank you! [To them, now back to us] And mozzarella cheese from Pomona. We used Paso Robles grass-fed beef that we grilled medium rare and cut it cold. House-made chimichurri and microgreens.

(Someone pasted crystal structures at this point)
Pr3Sn3Hg2: computed powder X-ray diffraction pattern (Cu Kα), based on a cell relaxed with PBE.
Intensities are scaled so that the largest is 100.

Structural model:
Unit cell a=6.4317 b=6.4317 c=16.1290 alpha=90.00 beta=90.00 gamma=137.36
Fractional coordinates of all 16 atoms:
Pr1 0.0656 0.9344 0.6136
Pr2 0.0656 0.9344 0.8864
Pr3 0.3422 0.6578 0.7500
Pr4 0.6578 0.3422 0.2500
Pr5 0.9344 0.0656 0.1136
Pr6 0.9344 0.0656 0.3864
Sn1 0.3822 0.6178 0.5389
Sn2 0.3822 0.6178 0.9611
Sn3 0.3886 0.6113 0.2500
Sn4 0.6113 0.3886 0.7500
Sn5 0.6178 0.3822 0.0389
Sn6 0.6178 0.3822 0.4611
Hg1 0.2260 0.7740 0.1103
Hg2 0.2260 0.7740 0.3897
Hg3 0.7740 0.2260 0.6103
Hg4 0.7740 0.2260 0.8897

Main lines, most intense first (10° ≤ 2θ ≤ 90°):
2θ/deg  intensity
33.90  100.0
30.20  79.5
38.50  44.6
29.94  33.7
37.40  27.1
30.35  25.5
54.76  18.4
37.06  17.8
57.31  15.0
33.33  14.9

=====

[1]
Diffraction record for NaYSO4. The PXRD pattern is theoretical, not measured: it uses the PBE geometry in Alexandria and Cu Kα (weighted mean of Kα1 and Kα2).
Lines closer than 0.1° are merged.

Cell lengths 6.7322, 7.2679, 8.7249 Å; angles 90.00, 90.00, 90.00 degrees
Space group Imma (No. 74)
Inequivalent atoms, fractional coordinates:
1 Na 0.0000 0.0000 0.0000 (multiplicity 4)
2 Y 0.2500 0.2500 0.2500 (multiplicity 4)
3 S 0.0000 0.2500 0.6379 (multiplicity 4)
4 O 0.0000 0.0513 0.2455 (multiplicity 8)
5 O 0.1826 0.2500 0.5373 (multiplicity 8)

Largest 10 diffraction maxima, low angle first, 15° ≤ 2θ ≤ 90°:
d = 5.584 Å, 15.87 deg, I = 100
d = 4.362 Å, 20.36 deg, I = 36
d = 3.634 Å, 24.50 deg, I = 47
d = 3.002 Å, 29.76 deg, I = 36
d = 2.883 Å, 31.02 deg, I = 86
d = 2.700 Å, 33.18 deg, I = 71
d = 2.469 Å, 36.38 deg, I = 48
d = 2.106 Å, 42.94 deg, I = 21
d = 1.918 Å, 47.39 deg, I = 47
d = 1.635 Å, 56.27 deg, I = 47

---

[2]
Diffraction record for Na4SbO5. The PXRD pattern is theoretical, not measured: it uses the PBE geometry in Alexandria and Cu Kα (weighted mean of Kα1 and Kα2).
Lines closer than 0.1° are merged.

Cell lengths 7.3676, 7.3676, 5.0509 Å; angles 90.00, 90.00, 90.00 degrees
Space group I4 (No. 79)
Inequivalent atoms, fractional coordinates:
1 Na 0.0880 0.2969 0.0000 (multiplicity 8)
2 Sb 0.0000 0.0000 0.4610 (multiplicity 2)
3 O 0.0000 0.0000 0.0771 (multiplicity 2)
4 O 0.0755 0.2542 0.5290 (multiplicity 8)

Largest 10 diffraction maxima, low angle first, 15° ≤ 2θ ≤ 90°:
d = 5.210 Å, 17.02 deg, I = 91
d = 4.166 Å, 21.33 deg, I = 100
d = 3.684 Å, 24.16 deg, I = 34
d = 2.760 Å, 32.44 deg, I = 90
d = 2.525 Å, 35.55 deg, I = 44
d = 2.330 Å, 38.65 deg, I = 75
d = 1.712 Å, 53.51 deg, I = 47
d = 1.647 Å, 55.80 deg, I = 25
d = 1.415 Å, 66.05 deg, I = 26
d = 1.380 Å, 67.93 deg, I = 21

---

[3]
Diffraction record for Na2Sb4O11. The PXRD pattern is theoretical, not measured: it uses the PBE geometry in Alexandria and Cu Kα (weighted mean of Kα1 and Kα2).
Lines closer than 0.1° are merged.

Cell lengths 20.1030, 7.6396, 7.2834 Å; angles 90.00, 96.44, 90.00 degrees

Aaron Anderson
Harlow’s Fine Cuisine & Crafted Cocktails, San Juan Capistrano
What’s the story of your dish?
Well we wanted to consider temperature. Wanted to make sure we had something our guests and supporters would be happy to eat so we did a cold dish knowing it’d be so hot out today. We also wanted something where we weren’t using any kind of utensils and contributing to the waste in America, so this is what we did. It’s a lot of ingredients that are in season now and we just brainstormed a gazpacho amarillo, or a yellow gazpacho. It has yellow tomato, yellow bell peppers, cucumbers, some Fresno chilis. We garnished it with Baja California crab, some borage blossoms, microgreens and micro flowers from Fresh Origins just north of San Diego, petite pea tendrils and micro cilantro.

Yves Fournier
Andrei’s Conscious Cuisine, Irvine
What’s the story of your dish?
[Yves’ apron looks like a kilt as he lifts his foot onto a fence, striking a pose]
Oh là là! What are you wearing behind that?
Well I’m French, not Scottish.
[All laughing]
So what’s the story of your dish?
What we need to make for Green Feast, for my first cook-off is a beet salad. What we do always is support the farmer. These beets came from the Great Park in Irvine. We have a delivery every week to the restaurant of red, yellow, baby beets. Another farmer I love is Soledad Goats. He’s not too far from the restaurant, about two hours, and every Friday they deliver some fresh goat cheese. So beets from the Great Park, goat cheese from Soledad, and organic pistachios. This is our dish tonight. It’s what we do at Andrei’s every day, every week. Try to support our local farmer. This is what I love to do.

Record 1
Computed powder XRD pattern of TaOs3 for a wavelength of 1.5418 Å, from DFT lattice parameters and positions (PBE).

Structure:
```
data_TaOs3
_cell_length_a 4.462
_cell_length_b 5.554
_cell_length_c 4.897
_cell_angle_alpha 90.00
_cell_angle_beta 90.00
_cell_angle_gamma 90.00
_space_group_name_H-M_alt 'P m m n'
_space_group_IT_number 59
loop_
_space_group_symop_operation_xyz
'x,y,z'
'-x,-y,-z'
'-x+1/2,-y+1/2,z'
'x+1/2,y+1/2,-z'
'x+1/2,-y,-z'
'-x+1/2,y,z'
'-x,y+1/2,-z'
'x,-y+1/2,z'
loop_
_atom_site_label
_atom_site_type_symbol
_atom_site_fract_x
_atom_site_fract_y
_atom_site_fract_z
Ta1 Ta 0.250 0.250 0.147
Os1 Os 0.250 0.503 0.656
Os2 Os 0.250 0.750 0.176
```

Principal peaks in the range 10° ≤ 2θ ≤ 90°, by angle:
| d/Å | I (rel.) |
| --- | --- |
| 2.416 | 30 |
| 2.231 | 41 |
| 2.147 | 60 |
| 2.124 | 100 |
| 1.639 | 19 |
| 1.407 | 18 |
| 1.388 | 9 |
| 1.271 | 11 |
| 1.266 | 19 |
| 1.190 | 21 |
| 1.179 | 11 |
| 1.166 | 17 |



Record 2
Computed powder XRD pattern of TbTc2Os2 for a wavelength of 1.5418 Å, from DFT lattice parameters and positions (PBE).

Structure:
```
data_TbTc2Os2
_cell_length_a 4.207
_cell_length_b 4.207
_cell_length_c 10.476
_cell_angle_alpha 90.00
_cell_angle_beta 90.00
_cell_angle_gamma 90.00
_space_group_name_H-M_alt 'I 4/m m m'
_space_group_IT_number 139
_space_group_name_Hall '-I 4 2'
loop_
_atom_site_label
_atom_site_type_symbol
_atom_site_fract_x
_atom_site_fract_y
_atom_site_fract_z
Tb1 Tb 0.000 0.000 0.000
Tc1 Tc 0.000 0.500 0.250
Os1 Os 0.000 0.000 0.384
```

Principal peaks in the range 10° ≤ 2θ ≤ 90°, by angle:
| d/Å | I (rel.) |
| --- | --- |
| 3.904 | 26 |
| 2.975 | 49 |
| 2.687 | 98 |
| 2.587 | 100 |
| 2.103 | 93 |
| 1.966 | 47 |
| 1.875 | 57 |
| 1.656 | 47 |
| 1.487 | 31 |
| 1.400 | 44 |
| 1.289 | 22 |
| 1.112 | 22 |



Record 3
Computed powder XRD pattern of Tc2Os for a wavelength of 1.5418 Å, from DFT lattice parameters and positions (PBE).

Structure:
Lattice parameters (Å, degrees): 7.095 7.095 7.095 90.00 90.00 90.00
Space group Fd-3m (No. 227, origin choice 2)
Inequivalent atoms, fractional coordinates:
Tc (0.000, 0.000, 0.000)
Os (0.125, 0.125, 0.625)

Principal peaks in the range 10° ≤ 2θ ≤ 90°, by angle:
| d/Å | I (rel.) |
| --- | --- |
| 4.096 | 3 |
| 2.509 | 51 |
| 2.139 | 100 |
| 2.048 | 22 |
| 1.628 | 1 |
| 1.448 | 19 |
| 1.365 | 31 |
| 1.254 | 24 |
| 1.199 | 1 |
| 1.122 | 9 |



Record 4
Computed powder XRD pattern of Tm3Te5Os for a wavelength of 1.5418 Å, from DFT lattice parameters and positions (PBE).

Structure:
```
data_Tm3Te5Os
_cell_length_a 8.3341
_cell_length_b 8.3341
_cell_length_c 4.2594
_cell_angle_alpha 90.00
_cell_angle_beta 90.00
_cell_angle_gamma 120.00
_space_group_name_H-M_alt 'P -6 2 m'
_space_group_IT_number 189
_space_group_name_Hall 'P -6 -2'
loop_
_atom_site_label
_atom_site_type_symbol
_atom_site_fract_x
_atom_site_fract_y
_atom_site_fract_z
Tm1 Tm 0.0000 0.2568 0.0000
Te1 Te 0.0000 0.6852 0.5000
Te2 Te 0.3333 0.6667 0.0000
Os1 Os 0.0000 0.0000 0.5000
```

Steve Kling
Five Crowns/SideDoor, Corona del Mar
What’s the story of your dish?
We actually did the same dish recently at the restaurant in it’s traditional form, French steak tartare. But when I was coming up with this one I wanted to make it light and refreshing, knowing people would be eating a thousand different things today. This is such a cool event, my first time here, and I’m glad to be a part of it.
The actual dish is a riff on steak tartare. It’s roasted red beets, treated with just a little bit of olive oil, salt, and pepper. We roast and then grind them, essentially, so it resembles the consistency of steak tartare. Then we put a piece of Weiser farm melon that’s been melon-balled out and cut in half and placed on top to resemble a quail egg. Also some local goat cheese creme fraiche from Drake’s in Ontario and local bread. It’s a pretty simple little bite.

Patrick Glennon
Santa Monica Seafood, Dana Point
Matt Tobin
True Food Kitchen, Newport Beach
Rich Mead
Canyon Restaurant, Anaheim
So what’s the story behind your dish?
Paddy: Well I’ve been a part of Green Feast every year since day one. Some of the chefs were a little “spicy” that first year and Rich said ‘Dude, I need help with these guys.’ So we *bang bang* got them organized quick and I became part of it on the big side. So this year—well, there’s never anyone to take care of the vegetarians—so they asked me. I’ve been a vegan for some of my life so we’re doing the food for the 25 vegans that are here tonight, and we’re also doing the salad.
Rich Mead, who’s not here—he’s doing Alex Weiser’s wedding—and Matt and myself are doing the salad. Rich has scoured the Santa Monica’s farmers market for the last two weeks getting cipollini onions, cucumbers, cauliflower. We’ve pickled about seven different vegetables from different farmers we work with at the market and Matt got the salad from Kenter Canyon Farms, a local grower that’s just loved by chefs. They make incredible mesclun, wild arugula and different things we’re using today and the cucumbers and heirloom tomatoes are from South Coast Farms. The salad is actually, what we’d call in French a composée, a built up salad of many different elements. Chef Matt was foraging around, what else did you get today?
Matt: [Pointing] We got some apples from the trees about 20 feet behind you. Some oranges from the tree that’s about 50 feet off to the right, which is one of the things I’m so excited about.
P: Yeah we actually made the vinaigrette from the oranges at this farm.
M: We were texting back and forth yesterday how excited we were about this event. It’s things like that, not only being able to come here and please these great guests, but to work along side these talented chefs and use the food that grows so sustainably and abundantly in our own backyard. This is something I’m proud to be a part of.
P: You know, I invented the Eco App Off to try and get the local chefs, as they’re making a recipe and thinking about color, flavor, cost… to also think about local, organic, and being properly sourced. If we can get the chefs that come through this event to bring back that Green Feast way of thinking, we’ll have incredibly impacted our local world. Our local farmers, fishermen, and ranchers. I mean, most of the chefs here didn’t know Cooks Pig Farm existed, now they’ll be buying from them and getting killer pork products. Every year another chef brings to the table another beekeeper, another farmer, another fisherman, and it goes into a list that’s available to any chef that wants it.
All the young modern chefs went to school and learned what I’d call tweezer techniques and foam techniques. That’s great, but they didn’t learn how to buy. They never met a fisherman. They buy fish pre-filleted from companies like ours, Santa Monica Seafood, and we do a great job with it but they can’t work with the whole fish. Give them one and they’re messed up.
We’re just trying to get the chefs back to local ingredients. If you look at a Caesar salad you’ve got 35,000 carbon footprint miles. Imported olive oil, commodity raised lettuce, imported anchovies. We have anchovies here. Make your own, salt them yourself, be creative. Go above and your food will be better for it. Your restaurant won’t be an environmental disaster like most restaurants are… with all the commodity stuff they bring in and chemicals they use to clean the dishwashers. They’re complaining about a shortage of oysters and they’re the ones acidifying the oceans with their dishwashers. The chemicals go down the drains and they say “there it goes to the Wizard of Oz.” This event brings awareness, that’s why I love being here.
I don’t even know if you answered the question but that was pretty damn good! Let’s go find that orange tree.